Comparing Baccarat Variations: Punto Banco, Chemin de Fer, and Baccarat Banque

Baccarat, with its blend of elegance and intrigue, has captivated players for centuries. While the fundamental objective of approaching a card value of nine remains consistent, various regions and cultures have birthed distinct versions of the game. In this exploration, we’ll delve into three prominent baccarat variations: Punto Banco, Chemin de Fer, and Baccarat Banque.

Entry 1:
DFT (PBE+U) results for a geometry-optimized Na2MgMn2O8 structure.

Properties
Its space-group type is Amm2 (38). As for the excess energy over the best structure of this formula in the dataset: 0.00 eV/f.u.

a = 5.585 Å, b = 5.581 Å, c = 6.454 Å
α = 90.00°, β = 90.00°, γ = 66.75°
Atoms (fractional coordinates):
Na1 0.999 0.000 0.995
Na2 0.999 0.000 0.505
Mg1 0.649 0.651 0.250
Mn1 0.640 0.640 0.750
Mn2 0.357 0.358 0.250
O1 0.270 0.693 0.250
O2 0.322 0.763 0.750
O3 0.742 0.743 0.530
O4 0.263 0.263 0.041
O5 0.263 0.263 0.459
O6 0.742 0.743 0.970
O7 0.692 0.271 0.250
O8 0.763 0.322 0.750

Entry 2:
DFT (PBE+U) results for a geometry-optimized Na8MgMn2O8 structure.

Properties
Its space-group type is P1 (1). As for the excess energy over the best structure of this formula in the dataset: 0.06 eV/f.u.

a = 9.412 Å, b = 5.479 Å, c = 6.076 Å
α = 69.77°, β = 110.58°, γ = 98.08°
Atoms (fractional coordinates):
Na1 0.177 0.023 0.600
Na2 0.156 0.530 0.069
Na3 0.331 0.526 0.689
Na4 0.324 0.039 0.175
Na5 0.526 0.037 0.729
Na6 0.700 0.684 0.023
Na7 0.765 0.040 0.386
Na8 0.978 0.557 0.498
Mg1 0.771 0.465 0.736
Mn1 0.500 0.549 0.338
Mn2 0.989 0.000 0.968
O1 0.125 0.237 0.825
O2 0.118 0.832 0.290
O3 0.407 0.747 0.999
O4 0.347 0.309 0.417
O5 0.574 0.642 0.639
O6 0.711 0.441 0.396
O7 0.924 0.750 0.767
O8 0.798 0.107 0.986

Entry 3:
DFT (PBE+U) results for a geometry-optimized NaMg6MnO8 structure.

Properties
Its space-group type is P4/mmm (123). As for the excess energy over the best structure of this formula in the dataset: 0.00 eV/f.u.

a = 8.501 Å, b = 4.332 Å, c = 4.332 Å
α = 90.00°, β = 90.00°, γ = 90.00°
Atoms (fractional coordinates):
Na1 0.500 0.000 0.000
Mg1 0.000 0.500 0.500
Mg2 0.500 0.500 0.500
Mg3 0.259 0.000 0.500
Mg4 0.741 0.000 0.500
Mg5 0.259 0.500 0.000
Mg6 0.741 0.500 0.000
Mn1 0.000 0.000 0.000
O1 0.226 0.000 0.000
O2 0.774 0.000 0.000
O3 0.246 0.500 0.500
O4 0.754 0.500 0.500
O5 0.000 0.000 0.500
O6 0.500 0.000 0.500
O7 0.000 0.500 0.000
O8 0.500 0.500 0.000

Entry 4:
DFT (PBE+U) results for a geometry-optimized Na2MgMn2O8 structure.

Properties
Its space-group type is P1 (1). As for the excess energy over the best structure of this formula in the dataset: 0.34 eV/f.u.

a = 5.762 Å, b = 5.409 Å, c = 7.117 Å
α = 91.64°, β = 94.02°, γ = 68.94°
Atoms (fractional coordinates):
Na1 0.121 0.910 0.002
Na2 0.963 0.025 0.494
Mg1 0.565 0.163 0.957
Mn1 0.655 0.644 0.735
Mn2 0.334 0.370 0.274
O1 0.229 0.694 0.286
O2 0.349 0.799 0.738
O3 0.758 0.696 0.540
O4 0.231 0.278 0.060
O5 0.275 0.220 0.446
O6 0.774 0.791 0.911
O7 0.645 0.244 0.231
O8 0.727 0.316 0.780

Entry 5:
DFT (PBE+U) results for a geometry-optimized NaMgMn4O8 structure.

Properties
Its space-group type is Cm (8). As for the excess energy over the best structure of this formula in the dataset: 0.21 eV/f.u.

a = 6.209 Å, b = 6.209 Å, c = 6.343 Å
α = 86.48°, β = 119.07°, γ = 124.50°
Atoms (fractional coordinates):
Na1 0.507 0.995 0.502
Mg1 0.230 0.325 0.555
Mn1 0.000 0.995 0.995

A Game of Many Faces

Despite sharing a common backbone, each baccarat variation offers unique gameplay twists, adding layers of strategy and excitement. Understanding these differences can not only enhance one’s appreciation of the game but also influence gameplay choices.

Punto Banco: The North American Favorite

Game Mechanics

Dealer's Domain:

In Punto Banco, the casino takes full control. This means the casino staff deal all the cards and manage the game’s progression.

Fixed Rules for Drawing:

In this game, if the initial two cards dealt total 5 or less, another card is dealt. If they total 6 or 7, the hand stands. Players don’t decide this – it’s all predetermined. Players just place their bet on one of three outcomes: a win for the ‘Player’ hand, a win for the ‘Banker’ hand, or a ‘Tie’.


If a Player hand has a 4 and a 3 (totaling 7), no additional card is drawn for that hand.


Punto Banco’s straightforward approach, with minimal decisions from the player, has made it the favorite in North American casinos.

Chemin de Fer: European Elegance

Game Mechanics

Rotating Banker:

In this version, players take turns being the banker, which means they control the deck and bear the risk of other players’ bets.

Player Agency in Drawing:

After the initial two cards are dealt, players can decide if they want to draw an additional card or ‘stand’ (not take any more cards). This decision can be based on the total of their cards or their prediction of the outcome.


If a player has a total of 5 with their two cards, they might choose to draw another card hoping to get closer to 9 or stand if they believe a third card could push them over.


Popular in European casinos, especially in France, Chemin de Fer’s player involvement in decisions makes the game more interactive and strategic.

Baccarat Banque: The Middle Ground

Game Mechanics

Semi-permanent Banker:

One player acts as the banker for an extended period, not just a single turn. This position remains until they choose to relinquish it, or they run out of funds to cover bets.

Two Player Hands:

This variant has an intriguing twist – there are two separate player hands dealt. Players can bet on either or both, offering more potential avenues for winning (or losing).

### Next to the text, the page also holds crystal structures
Record 1
! KMg14Fe | the Materials Project database | PBE | relaxed; values from VASP
! Crystal system ... hexagonal
! ΔH_f (0 K) ... 0.2306 eV per atom
! Density ... 1.965 g cm⁻³
! Calculated volume ... 22.98 Å³/atom
! Space-group type ... P-6m2 (187)
! Uncorrected energy ... -1.768 eV/atom
&SYSTEM
  ibrav = 0, nat = 16, ntyp = 3
/
ATOMIC_SPECIES
K 39.10 K.upf
Mg 24.30 Mg.upf
Fe 55.84 Fe.upf
CELL_PARAMETERS angstrom
6.452 0.000 0.000
-3.226 5.588 0.000
0.000 0.000 10.199
ATOMIC_POSITIONS crystal
K 0.167 0.333 0.625
Mg 0.153 0.826 0.125
Mg 0.179 0.839 0.625
Mg 0.674 0.347 0.125
Mg 0.661 0.321 0.625
Mg 0.674 0.826 0.125
Mg 0.661 0.839 0.625
Mg 0.328 0.172 0.346
Mg 0.328 0.172 0.904
Mg 0.328 0.656 0.346
Mg 0.328 0.656 0.904
Mg 0.844 0.172 0.346
Mg 0.844 0.172 0.904
Mg 0.833 0.667 0.384
Mg 0.833 0.667 0.866
Fe 0.167 0.333 0.125

---

Record 2
! KMg14Fe | the Materials Project database | PBE | relaxed; values from VASP
! Crystal system ... orthorhombic
! ΔH_f (0 K) ... 0.1918 eV per atom
! Density ... 1.930 g cm⁻³
! Calculated volume ... 23.40 Å³/atom
! Space-group type ... Amm2 (38)
! Uncorrected energy ... -1.807 eV/atom
&SYSTEM
  ibrav = 0, nat = 16, ntyp = 3
/
ATOMIC_SPECIES
K 39.10 K.upf
Mg 24.30 Mg.upf
Fe 55.84 Fe.upf
CELL_PARAMETERS angstrom
6.458 -0.015 0.000
-3.242 5.615 0.000
0.000 0.000 10.340
ATOMIC_POSITIONS crystal
K 0.165 0.833 0.125
Mg 0.165 0.333 0.625
Mg 0.169 0.834 0.625
Mg 0.662 0.338 0.125
Mg 0.666 0.330 0.625
Mg 0.662 0.824 0.125
Mg 0.666 0.836 0.625
Mg 0.333 0.180 0.379
Mg 0.333 0.180 0.871
Mg 0.333 0.654 0.379
Mg 0.333 0.654 0.871
Mg 0.842 0.171 0.363
Mg 0.842 0.171 0.887
Mg 0.823 0.662 0.389
Mg 0.823 0.662 0.861
Fe 0.182 0.341 0.125

---

Record 3
! KMg6Fe | the Materials Project database | PBE | relaxed; values from VASP
! ΔH_f (0 K) ... 0.3715 eV per atom
! Density ... 2.059 g cm⁻³
! Calculated volume ... 24.27 Å³/atom
! Uncorrected energy ... -2.026 eV/atom
&SYSTEM
  ibrav = 0, nat = 16, ntyp = 3
/
ATOMIC_SPECIES
K 39.10 K.upf
Mg 24.30 Mg.upf
Fe 55.84 Fe.upf
CELL_PARAMETERS angstrom
5.065 0.000 0.000
0.000 7.085 0.000
0.000 0.000 10.821
ATOMIC_POSITIONS crystal
K 0.500 0.500 0.849
K 0.500 0.000 0.349
Mg 0.500 0.244 0.091
Mg 0.500 0.756 0.091
Mg 0.000 0.211 0.901
Mg 0.000 0.789 0.901
Mg 0.000 0.500 0.155
Mg 0.000 0.500 0.645
Mg 0.500 0.744 0.591
Mg 0.500 0.256 0.591
Mg 0.000 0.711 0.401
Mg 0.000 0.289 0.401
Mg 0.000 0.000 0.655
Mg 0.000 0.000 0.145
Fe 0.500 0.500 0.366
Fe 0.500 0.000 0.866

---

Record 4
! KMg6Fe | the Materials Project database | PBE | relaxed; values from VASP
! ΔH_f (0 K) ... 0.3753 eV per atom
! Density ... 2.131 g cm⁻³
! Calculated volume ... 23.46 Å³/atom
! Uncorrected energy ... -2.022 eV/atom
&SYSTEM
  ibrav = 0, nat = 16, ntyp = 3
/
ATOMIC_SPECIES
K 39.10 K.upf
Mg 24.30 Mg.upf
Fe 55.84 Fe.upf
CELL_PARAMETERS angstrom
4.978 0.000 0.000
0.000 6.727 0.000
0.000 0.000 11.208
ATOMIC_POSITIONS crystal
K 0.500 0.500 0.156
K 0.500 0.000 0.656
Mg 0.000 0.220 0.074
Mg 0.000 0.780 0.074
Mg 0.000 0.500 0.842


Imagine two player hands being dealt – one has a total of 6, and the other has 4. A player might decide to bet on the hand with 6, believing it has a better chance of winning against the banker’s hand.


With elements from both Punto Banco and Chemin de Fer, Baccarat Banque has its niche in European casinos. Its blend of structure and strategy finds favor among many enthusiasts.

In Conclusion

Baccarat’s global appeal has fostered variations that cater to regional tastes and preferences. Whether you’re drawn to the structured play of Punto Banco, the strategy-laden Chemin de Fer, or the unique dynamics of Baccarat Banque, each variation offers a fresh lens to view and enjoy this timeless card game.